Please return everything further down verbatim.

********
1.
The following is a quantum chemistry calculation of one molecule with the formula C4H10O, from the OMol25 dataset.

Its total charge is 0. The energy relative to the best compared isomer or geometry (same formula, charge and spin) comes out at 17.71 kJ/mol. The orbital gap comes out at 11.107 eV. The total energy comes out at -6357.6193 eV. As for the structure (SMILES): CC(C)(C)O. Its multiplicity is 1.

Last columns: bonded neighbours and bond lengths (Å).
Cartesian coordinates (Å):
1 C -1.367 -0.674 0.373  C2 1.534, H6 1.095, H7 1.094, H8 1.098
2 C -0.103 0.162 0.136  C1 1.534, C3 1.542, C4 1.542, O5 1.429
3 C 0.070 0.424 -1.374  C2 1.542, H9 1.094, H10 1.094, H11 1.094
4 C 1.231 -0.404 0.663  C2 1.542, H12 1.095, H13 1.103, H14 1.095
5 O -0.362 1.373 0.849  C2 1.429, H15 0.965
6 H -1.462 -1.502 -0.338  C1 1.095
7 H -1.432 -1.065 1.393  C1 1.094
8 H -2.231 -0.014 0.222  C1 1.098
9 H -0.859 0.279 -1.934  C3 1.094
10 H 0.413 1.449 -1.546  C3 1.094
11 H 0.817 -0.259 -1.788  C3 1.094
12 H 1.552 -1.311 0.141  C4 1.095
13 H 2.018 0.346 0.475  C4 1.103
14 H 1.219 -0.598 1.741  C4 1.095
15 H 0.495 1.794 0.989  O5 0.965

=====

2.
The following is a quantum chemistry calculation of one molecule with the formula C4H10O2, from the OMol25 dataset.

Its total charge is 0. The energy relative to the best compared isomer or geometry (same formula, charge and spin) comes out at 103.99 kJ/mol. The orbital gap comes out at 10.720 eV. The total energy comes out at -8404.4693 eV. As for the structure (SMILES): COC[C@@H](C)O. Its multiplicity is 1.

Last columns: bonded neighbours and bond lengths (Å).
Cartesian coordinates (Å):
1 C -0.394 -1.441 1.715  O2 1.408, H7 1.091, H8 1.101, H9 1.099
2 O -0.193 -0.048 1.687  C1 1.408, C3 1.417
3 C -0.626 0.550 0.477  O2 1.417, C4 1.525, H10 1.095, H11 1.101
4 C 0.411 0.327 -0.620  C3 1.525, C5 1.516, O6 1.416, H12 1.102
5 C -0.074 0.669 -2.015  C4 1.516, H13 1.094, H14 1.094, H15 1.096
6 O 1.567 1.096 -0.343  C4 1.416, H16 0.968
7 H 0.078 -1.812 2.627  C1 1.091
8 H -1.466 -1.694 1.723  C1 1.101
9 H 0.068 -1.949 0.857  C1 1.099
10 H -0.709 1.622 0.684  C3 1.095
11 H -1.618 0.169 0.188  C3 1.101
12 H 0.670 -0.744 -0.613  C4 1.102
13 H 0.675 0.353 -2.747  C5 1.094
14 H -0.234 1.745 -2.129  C5 1.094
15 H -1.010 0.142 -2.233  C5 1.096
16 H 1.770 0.948 0.592  O6 0.968

=====

3.
The following is a quantum chemistry calculation of one molecule with the formula C4H10O2, from the OMol25 dataset.

Its total charge is 0. The energy relative to the best compared isomer or geometry (same formula, charge and spin) comes out at 61.90 kJ/mol. The orbital gap comes out at 10.533 eV. The total energy comes out at -8404.9055 eV. As for the structure (SMILES): C[C@@H](O)CCO. Its multiplicity is 1.

Last columns: bonded neighbours and bond lengths (Å).
Cartesian coordinates (Å):
1 C 1.527 -0.137 -1.528  C2 1.520, H7 1.095, H8 1.094, H9 1.097
2 C 0.771 0.100 -0.231  C1 1.520, O3 1.411, C4 1.536, H10 1.105
3 O 0.772 1.493 -0.004  C2 1.411, H11 0.969
4 C -0.657 -0.465 -0.276  C2 1.536, C5 1.524, H12 1.099, H13 1.097
5 C -1.374 -0.368 1.065  C4 1.524, O6 1.432, H14 1.100, H15 1.095
6 O -1.293 0.968 1.574  C5 1.432, H16 0.956
7 H 2.511 0.339 -1.473  C1 1.095
8 H 1.659 -1.209 -1.709  C1 1.094
9 H 0.993 0.302 -2.380  C1 1.097
10 H 1.296 -0.421 0.590  C2 1.105
11 H 0.138 1.633 0.715  O3 0.969
12 H -0.614 -1.526 -0.561  C4 1.099
13 H -1.238 0.061 -1.043  C4 1.097
14 H -0.923 -1.076 1.777  C5 1.100
15 H -2.435 -0.622 0.968  C5 1.095
16 H -1.131 0.928 2.516  O6 0.956

=====

4.
The following is a quantum chemistry calculation of a 2-piece molecular cluster, C4H10O2 overall, from the OMol25 dataset.

Its total charge is 0. The energy relative to the best compared isomer or geometry (same formula, charge and spin) comes out at 202.87 kJ/mol. The orbital gap comes out at 10.994 eV. The total energy comes out at -8403.4444 eV. As for the structure (SMILES): OC1CC1.CO. Its multiplicity is 1.
********

1.
The following is a quantum chemistry calculation of one molecule with the formula C4H10O, from the OMol25 dataset.

Its total charge is 0. The energy relative to the best compared isomer or geometry (same formula, charge and spin) comes out at 17.71 kJ/mol. The orbital gap comes out at 11.107 eV. The total energy comes out at -6357.6193 eV. As for the structure (SMILES): CC(C)(C)O. Its multiplicity is 1.

Last columns: bonded neighbours and bond lengths (Å).
Cartesian coordinates (Å):
1 C -1.367 -0.674 0.373  C2 1.534, H6 1.095, H7 1.094, H8 1.098
2 C -0.103 0.162 0.136  C1 1.534, C3 1.542, C4 1.542, O5 1.429
3 C 0.070 0.424 -1.374  C2 1.542, H9 1.094, H10 1.094, H11 1.094
4 C 1.231 -0.404 0.663  C2 1.542, H12 1.095, H13 1.103, H14 1.095
5 O -0.362 1.373 0.849  C2 1.429, H15 0.965
6 H -1.462 -1.502 -0.338  C1 1.095
7 H -1.432 -1.065 1.393  C1 1.094
8 H -2.231 -0.014 0.222  C1 1.098
9 H -0.859 0.279 -1.934  C3 1.094
10 H 0.413 1.449 -1.546  C3 1.094
11 H 0.817 -0.259 -1.788  C3 1.094
12 H 1.552 -1.311 0.141  C4 1.095
13 H 2.018 0.346 0.475  C4 1.103
14 H 1.219 -0.598 1.741  C4 1.095
15 H 0.495 1.794 0.989  O5 0.965

=====

2.
The following is a quantum chemistry calculation of one molecule with the formula C4H10O2, from the OMol25 dataset.

Its total charge is 0. The energy relative to the best compared isomer or geometry (same formula, charge and spin) comes out at 103.99 kJ/mol. The orbital gap comes out at 10.720 eV. The total energy comes out at -8404.4693 eV. As for the structure (SMILES): COC[C@@H](C)O. Its multiplicity is 1.

Last columns: bonded neighbours and bond lengths (Å).
Cartesian coordinates (Å):
1 C -0.394 -1.441 1.715  O2 1.408, H7 1.091, H8 1.101, H9 1.099
2 O -0.193 -0.048 1.687  C1 1.408, C3 1.417
3 C -0.626 0.550 0.477  O2 1.417, C4 1.525, H10 1.095, H11 1.101
4 C 0.411 0.327 -0.620  C3 1.525, C5 1.516, O6 1.416, H12 1.102
5 C -0.074 0.669 -2.015  C4 1.516, H13 1.094, H14 1.094, H15 1.096
6 O 1.567 1.096 -0.343  C4 1.416, H16 0.968
7 H 0.078 -1.812 2.627  C1 1.091
8 H -1.466 -1.694 1.723  C1 1.101
9 H 0.068 -1.949 0.857  C1 1.099
10 H -0.709 1.622 0.684  C3 1.095
11 H -1.618 0.169 0.188  C3 1.101
12 H 0.670 -0.744 -0.613  C4 1.102
13 H 0.675 0.353 -2.747  C5 1.094
14 H -0.234 1.745 -2.129  C5 1.094
15 H -1.010 0.142 -2.233  C5 1.096
16 H 1.770 0.948 0.592  O6 0.968

=====

3.
The following is a quantum chemistry calculation of one molecule with the formula C4H10O2, from the OMol25 dataset.

Its total charge is 0. The energy relative to the best compared isomer or geometry (same formula, charge and spin) comes out at 61.90 kJ/mol. The orbital gap comes out at 10.533 eV. The total energy comes out at -8404.9055 eV. As for the structure (SMILES): C[C@@H](O)CCO. Its multiplicity is 1.

Last columns: bonded neighbours and bond lengths (Å).
Cartesian coordinates (Å):
1 C 1.527 -0.137 -1.528  C2 1.520, H7 1.095, H8 1.094, H9 1.097
2 C 0.771 0.100 -0.231  C1 1.520, O3 1.411, C4 1.536, H10 1.105
3 O 0.772 1.493 -0.004  C2 1.411, H11 0.969
4 C -0.657 -0.465 -0.276  C2 1.536, C5 1.524, H12 1.099, H13 1.097
5 C -1.374 -0.368 1.065  C4 1.524, O6 1.432, H14 1.100, H15 1.095
6 O -1.293 0.968 1.574  C5 1.432, H16 0.956
7 H 2.511 0.339 -1.473  C1 1.095
8 H 1.659 -1.209 -1.709  C1 1.094
9 H 0.993 0.302 -2.380  C1 1.097
10 H 1.296 -0.421 0.590  C2 1.105
11 H 0.138 1.633 0.715  O3 0.969
12 H -0.614 -1.526 -0.561  C4 1.099
13 H -1.238 0.061 -1.043  C4 1.097
14 H -0.923 -1.076 1.777  C5 1.100
15 H -2.435 -0.622 0.968  C5 1.095
16 H -1.131 0.928 2.516  O6 0.956

=====

4.
The following is a quantum chemistry calculation of a 2-piece molecular cluster, C4H10O2 overall, from the OMol25 dataset.

Its total charge is 0. The energy relative to the best compared isomer or geometry (same formula, charge and spin) comes out at 202.87 kJ/mol. The orbital gap comes out at 10.994 eV. The total energy comes out at -8403.4444 eV. As for the structure (SMILES): OC1CC1.CO. Its multiplicity is 1.